## Activity
Next, filter the material further below: keep the lines with the word "atom".
## Contents
+++
ORCA calculation (ωB97M-V with the def2-TZVPD basis set) on 11 unconnected molecules or ions with the total composition C36H101N7O11.

ORCA input file:
```
! RIJCOSX wB97M-V def2-TZVPD def2/J DEFGRID3
* xyz 0 1
C 0.208 -2.764 3.820
O 1.391 -3.212 3.208
C 1.643 -4.557 3.561
C 2.991 -5.028 2.980
C 3.118 -6.550 3.124
N 4.088 -4.456 3.754
H 0.069 -1.730 3.484
H 0.240 -2.727 4.913
H -0.691 -3.279 3.461
H 1.731 -4.645 4.649
H 0.865 -5.235 3.185
H 3.027 -4.872 1.899
H 4.051 -6.911 2.697
H 2.323 -7.090 2.598
H 3.026 -6.891 4.161
H 3.930 -3.457 3.851
H 4.130 -4.877 4.671
C 5.318 5.750 2.196
O 5.044 5.348 0.884
C 4.147 4.250 0.829
C 4.012 3.791 -0.622
C 5.329 3.300 -1.232
N 3.565 4.923 -1.463
H 4.394 6.031 2.718
H 6.054 6.553 2.174
H 5.783 4.977 2.825
H 4.431 3.413 1.477
H 3.174 4.643 1.158
H 3.282 2.977 -0.645
H 5.822 2.515 -0.660
H 6.018 4.144 -1.297
H 5.099 2.987 -2.249
H 2.787 5.382 -0.980
H 4.250 5.665 -1.297
C -5.685 -0.179 2.677
O -5.478 -1.377 1.959
C -4.162 -1.523 1.496
C -4.167 -2.670 0.475
C -4.428 -3.993 1.154
N -2.910 -2.755 -0.285
H -5.181 -0.156 3.646
H -6.754 -0.020 2.804
H -5.309 0.664 2.085
H -3.768 -0.622 1.004
H -3.432 -1.734 2.290
H -5.012 -2.443 -0.188
H -4.380 -4.832 0.450
H -5.399 -4.098 1.635
H -3.621 -4.212 1.862
H -2.990 -2.155 -1.110
H -2.927 -3.688 -0.692
C -4.940 3.407 0.797
O -4.344 2.306 0.126
C -3.194 2.703 -0.622
C -2.819 1.519 -1.503
C -1.519 1.830 -2.239
N -3.869 1.275 -2.496
H -5.358 3.061 1.742
H -5.763 3.847 0.231
H -4.179 4.157 1.017
H -3.441 3.598 -1.205
H -2.395 2.988 0.077
H -2.597 0.630 -0.911
H -1.117 0.962 -2.762
H -0.784 2.141 -1.491
H -1.573 2.629 -2.982
H -4.012 2.088 -3.087
H -4.733 1.137 -1.976
C 2.197 0.437 4.521
O 3.391 0.102 3.845
C 3.219 -0.404 2.529
C 4.492 -0.102 1.755
C 4.357 -0.199 0.244
N 5.581 -0.954 2.268
H 1.511 -0.414 4.594
H 1.657 1.213 3.967
H 2.503 0.738 5.518
H 3.110 -1.490 2.610
H 2.402 0.068 1.974
H 4.757 0.922 2.060
H 4.178 -1.239 -0.030
H 5.340 0.086 -0.142
H 3.641 0.492 -0.196
H 6.468 -0.606 1.916
H 5.627 -0.804 3.272
C 0.017 5.348 -1.742
O -0.243 5.180 -3.124
C -1.485 5.720 -3.506
C -1.848 5.228 -4.896
C -0.858 5.741 -5.952
N -3.176 5.760 -5.215
H 0.834 4.654 -1.533
H -0.837 4.987 -1.165
H 0.362 6.342 -1.458
H -2.297 5.486 -2.804
H -1.414 6.820 -3.506
H -1.864 4.136 -4.891
H 0.190 5.560 -5.688
H -0.897 6.816 -6.145
H -1.069 5.257 -6.909
H -3.158 6.775 -5.248
H -3.363 5.524 -6.187
C 0.484 2.154 0.880
O 0.885 1.024 0.151
C 0.132 -0.116 0.506
C 0.655 -1.338 -0.226
C 0.646 -1.278 -1.723
N 0.018 -2.591 0.238
H 0.718 2.101 1.949
H -0.608 2.254 0.793
H 0.942 3.033 0.426
H 0.166 -0.319 1.588
H -0.931 0.113 0.317
H 1.705 -1.468 0.069
H 1.008 -0.325 -2.120
H -0.374 -1.293 -2.132
H 1.222 -2.078 -2.185
H 0.061 -2.651 1.251
H -0.992 -2.537 0.029
C 3.985 -5.330 -1.557
C 3.255 -4.097 -1.035
O 1.938 -4.485 -0.699
H 5.057 -5.106 -1.553
H 3.719 -5.514 -2.598
H 3.813 -6.207 -0.939
H 3.303 -3.305 -1.792
H 3.771 -3.742 -0.131
H 1.390 -3.709 -0.448
C -1.845 1.632 3.812
C -2.594 0.657 4.705
O -1.909 0.600 5.951
H -2.288 1.751 2.823
H -0.814 1.281 3.730
H -1.832 2.617 4.281
H -2.668 -0.317 4.213
H -3.608 1.050 4.826
H -2.554 0.323 6.609
C -5.238 -1.460 -4.177
C -3.965 -2.188 -3.788
O -3.160 -1.408 -2.909
H -5.062 -0.486 -4.635
H -5.808 -1.194 -3.283
H -5.771 -2.145 -4.839
H -3.405 -2.419 -4.705
H -4.194 -3.155 -3.335
H -3.259 -0.452 -3.119
C -0.651 -4.839 -2.843
C 0.221 -4.762 -4.070
O -0.121 -5.781 -5.001
H -0.445 -4.063 -2.105
H -0.495 -5.761 -2.279
H -1.696 -4.742 -3.139
H 1.307 -4.705 -3.923
H 0.017 -3.782 -4.537
H 0.137 -5.477 -5.873
*
```

Summary:
SMILES   COC[C@H](C)N.COC[C@H](C)N.COC[C@H](C)N.COC[C@H](C)N.COC[C@H](C)N.COC[C@H](C)N.COC[C@H](C)N.CCO.CCO.CCO.CCO
Relative energy (zero: lowest compared OMol25 entry of this formula, charge and spin)   6.8 kJ/mol
Highest occupied orbital energy   -8.77 eV

Atom charges from the Löwdin analysis, given in e for atoms 1 to 5: atom 1 (C): -0.134, atom 2 (O): -0.201, atom 3 (C): -0.204, atom 4 (C): -0.415, atom 5 (C): -0.075

~~~~~
+++
## Here it is
Atom charges from the Löwdin analysis, given in e for atoms 1 to 5: atom 1 (C): -0.134, atom 2 (O): -0.201, atom 3 (C): -0.204, atom 4 (C): -0.415, atom 5 (C): -0.075